Sitting together the other night in our living room we were in the mood to watch a movie thinking there must be some good old Christmas movie on.  There were some really odd options that night.  One thing which caught my attention was that a lot of the newer movies descriptions focused on human, rather than God’s love (which is central to the Christmas story) !    But if unregenerate people are making these movies what can we expect, right?

Still, its sad that though we have easy access to the Bible and our country has a rich spiritul heritage that many are missing out on the true meaning of Christmas altogether.  Remember Charlie Brown lamenting “Doesn’t anyone know what Christmas is really all about!” ?     Then Linus launched into his lengthy quote of Scripture from Luke 2. As an unsaved boy I recall watching that show around Christmas time and thinking, that’s nice and pretty cool that that little kid can recite all that from the Bible but it didn’t really click with me yet.

If you have kids, do they get it from your life?  How about others who know you?  Listen to part of what Linus quoted: “and the angel said unto them, ‘Fear not: for behold I bring you good tidings of great joy, which shall be to all people. For unto you is born this day in the city of David a Savior, which is Christ the Lord.” (vss.10-11). This is the true message of Christmas !      So do others typically see its message in your life?  How about the “fear not” part?  Are you constantly worrying and fretting about this or that, or trusting God?     Are you really content and joyous usually or evidencing “bad tidings” to “all people”?   “For unto you”  means God loves us enough to send His Son leaving heaven’s grandeur for a marred earth to salvage and even more marred humanity.  Do people really see us as lovers of souls?  Praying for the lost, reaching out to humanity rather than cursing them, embittered by them, gossiping about them and writing them off because they are sinful? This “Christmas” love is agape love – it doesn’t extend love only when loved back but finds its love in the source of all love, God Himself for “God is love” (1Jn.4:8,16) and reaches out because the need is so great and the love so good and godly !  Does your life pretty much live up to a converted life that reveals a “Savior”?   Sure, we fall short at times but does our life preach the Christmas message by and large?  When it truly does, people see Christmas in us all year round !   Yes it really isnt about the presents, but the presence of God in us, Emmanuel “God with us” !!!
Inserted here: calculated crystals:
1.
For Sc3In2Se6, DFT lattice parameters and positions (GGA-PBE) gives the theoretical X-ray powder pattern in this record (CuKα).

Structural model:
```
data_Sc3In2Se6
_chemical_formula_sum 'Sc3 In2 Se6'
_cell_length_a 6.7821
_cell_length_b 6.7821
_cell_length_c 7.5713
_cell_angle_alpha 98.60
_cell_angle_beta 98.60
_cell_angle_gamma 119.94
_symmetry_space_group_name_H-M 'P 1'
_symmetry_Int_Tables_number 1
loop_
_symmetry_equiv_pos_as_xyz
'x,y,z'
loop_
_atom_site_label
_atom_site_type_symbol
_atom_site_fract_x
_atom_site_fract_y
_atom_site_fract_z
Sc1 Sc 0.0000 0.0000 0.0000
Sc2 Sc 0.3321 0.6679 0.0000
Sc3 Sc 0.6679 0.3321 0.0000
In1 In 0.1665 0.8335 0.5000
In2 In 0.8335 0.1665 0.5000
Se1 Se 0.0674 0.4042 0.2127
Se2 Se 0.2602 0.2602 0.7910
Se3 Se 0.4042 0.0674 0.2127
Se4 Se 0.5958 0.9326 0.7873
Se5 Se 0.7398 0.7398 0.2090
Se6 Se 0.9326 0.5958 0.7873
```

Principal peaks in the range 10° ≤ 2θ ≤ 90°, by intensity:
2θ/deg, d/Å, intensity
31.11, 2.875, 100.0
42.71, 2.117, 34.0
46.36, 1.958, 33.9
56.89, 1.619, 17.0
76.33, 1.248, 14.0
70.99, 1.328, 10.4
33.55, 2.671, 9.9
64.86, 1.438, 9.5
83.40, 1.159, 9.4
15.62, 5.672, 7.7



2.
For Sm2ScIn3Se6, DFT lattice parameters and positions (GGA-PBE) gives the theoretical X-ray powder pattern in this record (CuKα).

Structural model:
```
data_Sm2ScIn3Se6
_chemical_formula_sum 'Sm2 Sc1 In3 Se6'
_cell_length_a 7.1669
_cell_length_b 7.1669
_cell_length_c 8.0624
_cell_angle_alpha 98.50
_cell_angle_beta 98.50
_cell_angle_gamma 119.90
_symmetry_space_group_name_H-M 'P 1'
_symmetry_Int_Tables_number 1
loop_
_symmetry_equiv_pos_as_xyz
'x,y,z'
loop_
_atom_site_label
_atom_site_type_symbol
_atom_site_fract_x
_atom_site_fract_y
_atom_site_fract_z
Sm1 Sm 0.1663 0.8337 0.0000
Sm2 Sm 0.8337 0.1663 0.0000
Sc1 Sc 0.5000 0.5000 0.0000
In1 In 0.0000 0.0000 0.5000
In2 In 0.3295 0.6705 0.5000
In3 In 0.6705 0.3295 0.5000
Se1 Se 0.1157 0.4311 0.7935
Se2 Se 0.2544 0.2544 0.2125
Se3 Se 0.4311 0.1157 0.7935
Se4 Se 0.5689 0.8843 0.2065
Se5 Se 0.7456 0.7456 0.7875
Se6 Se 0.8843 0.5689 0.2065
```

Principal peaks in the range 10° ≤ 2θ ≤ 90°, by intensity:
2θ/deg, d/Å, intensity
29.32, 3.046, 100.0
40.09, 2.249, 37.5
43.73, 2.070, 33.9
53.56, 1.711, 11.7
60.81, 1.523, 10.2
71.48, 1.320, 9.4
66.28, 1.410, 8.2
77.92, 1.226, 6.4
47.20, 1.926, 5.9
53.44, 1.714, 5.9



3.
For Sm2Sc2In3, DFT lattice parameters and positions (GGA-PBE) gives the theoretical X-ray powder pattern in this record (CuKα).

Structural model:
```
data_Sm2Sc2In3
_chemical_formula_sum 'Sm4 Sc4 In6'
_cell_length_a 4.6872
_cell_length_b 23.6034
_cell_length_c 3.2475
_cell_angle_alpha 90.00
_cell_angle_beta 90.00
_cell_angle_gamma 90.00
_symmetry_space_group_name_H-M 'P 1'
_symmetry_Int_Tables_number 1
loop_
_symmetry_equiv_pos_as_xyz
'x,y,z'
loop_
_atom_site_label
_atom_site_type_symbol
_atom_site_fract_x
_atom_site_fract_y
_atom_site_fract_z
Sm1 Sm 0.0000 0.0757 0.0000
Sm2 Sm 0.0000 0.9243 0.0000
Sm3 Sm 0.5000 0.4243 0.0000
Sm4 Sm 0.5000 0.5757 0.0000

Our nation is destined to fall prey to a more diluted, commercialized & trivialized view of Christmas unless we step up to the plate and show them different and when we do His message will be heard loud and clear through YOU. So today and throughout this season, go tell that message by your life and your lips !!